It’s time to stop feeling bad about yourself. It’s time to stop beating yourself up.
t’s time to stop blaming yourself for all the struggles you might have had in the past about your weight. It’s time to get smart about how to solve them. It’s time for a new approach – one that’s scientifically sound, doesn’t make you feel tired or ratty or hungry – and one that actually works.
If you’re someone who struggles with maintaining a healthy weight and tends to judge yourself negatively, I have something important to tell you. It honestly can’t wait a moment longer. It’s harder for you. Truly. If you’re struggling with excess weight, it’s because you’re different. You have a different body, which is functioning in a different way and has been on a different life journey to all those people who seem to be able to maintain a healthy weight so effortlessly. It’s not your fault.
This book will help you understand the true causes of your weight gain and show you how to reverse it in a responsible way. It will also help you keep that weight off with some easy and effective techniques that are fine-tuned to fit in with your life.
There’s more to weight loss than you’ve been led to believe. The good news is that reaching a healthy size and staying there isn’t a matter of starving yourself in the kitchen and hitting the gym hard. Any lifestyle programme that makes you feel terrible is going to have terrible results.
The fact is, rapid weight loss isn’t really weight loss at all. It’s an illusion. It doesn’t last and, worse, it raises your weight point, meaning you’ll probably end up with a bigger problem than you started with.
Keeping it off for good means losing weight and feeling great. It’s a longer process, but it’s much more fun. You’ll be learning about yourself, understanding your behaviours and nourishing your body and mind with nutritious food and positive thoughts. Over time, you’ll feel happier, less stressed and more energetic, and the excess fat will start to naturally disappear.
Remember: you’re not going for perfect. It would be nearly impossible to commit to every page of this book fully. You’re looking for enough. This means regular small steps in the right direction. Don’t worry if you have a bad day. Each morning, the sun rises again and that’s a brand-new opportunity to make different choices.
Throw away the scales and start focusing on those little daily habits that will add up to huge changes.
And don’t wait. Too many of my patients have some golden future in their minds when they’re at some ideal weight; they make the mistake of putting their life and happiness on hold until they get there. But your life is happening now. Your today is just as important as your tomorrow, your next month and your next year. You can begin the journey of nourishing yourself, mind, heart and body, the moment you put this book down.
It’s time. Not just to live, but to live greatly.
The simplest and most effective way to start is by introducing these three daily habits into your life. They are easy to implement and within days of starting them, you will feel better and have more confidence.
Just as brushing your teeth for a few minutes each day takes care of your dental health for life, these quick everyday habits will help move you towards sustainable weight loss. I would love you to get to the stage where you are effortlessly doing all three every day, but feel free to start with one and build up slowly. Remember, each of them takes under five minutes to do!
Doing these small habits consistently sends your body a powerful daily signal that you are worth taking care of.
### Data records, as found in the file
This record from the Materials Project database describes a relaxed K3Yb crystal. The functional is r2SCAN.

Cell lengths 6.8969, 6.8969, 6.8969 Å; angles 60.00, 60.00, 60.00 degrees
Fractional positions:
K (0.5000, 0.5000, 0.5000)
K (0.2500, 0.2500, 0.2500)
K (0.7500, 0.7500, 0.7500)
Yb (0.0000, 0.0000, 0.0000)

Output
The crystal system is cubic. The value obtained for the energy of formation is 635 meV/atom. The space group is No. 225. The value obtained for the energy is -52.0 eV for the cell shown. Its calculated volume is 57.99 Å³/atom.

---

This record from the Materials Project database describes a relaxed PdF4 crystal. The functional is r2SCAN.

Cell lengths 5.4151, 5.4151, 5.5095 Å; angles 105.93, 105.93, 116.19 degrees
Fractional positions:
F (0.0458, 0.2691, 0.8123)
F (0.9712, 0.7486, 0.1852)
F (0.9835, 0.7069, 0.6877)
F (0.5360, 0.8135, 0.3148)
F (0.5635, 0.7860, 0.8148)
F (0.4569, 0.2335, 0.1877)
F (0.0191, 0.2958, 0.3123)
F (0.4986, 0.2212, 0.6852)
Pd (0.7397, 0.2397, 0.5000)
Pd (0.9897, 0.9897, 0.0000)

Output
The crystal system is orthorhombic. The value obtained for the energy of formation is -1321 meV/atom. The space group is No. 43. The value obtained for the energy is -84.1 eV for the cell shown. Its calculated volume is 12.39 Å³/atom.

---

This record from the Materials Project database describes a relaxed TbPS crystal. The functional is r2SCAN.

Cell lengths 5.3476, 5.3863, 16.7581 Å; angles 90.00, 90.00, 90.00 degrees
Fractional positions:
S (0.2500, 0.0109, 0.8161)
S (0.7500, 0.9891, 0.1839)
S (0.2500, 0.5109, 0.6839)
S (0.7500, 0.5150, 0.8111)
S (0.7500, 0.0150, 0.6889)
S (0.2500, 0.9850, 0.3111)
S (0.7500, 0.4891, 0.3161)
S (0.2500, 0.4850, 0.1889)
Tb (0.2500, 0.5147, 0.8531)
Tb (0.7500, 0.4853, 0.1469)
Tb (0.2500, 0.0147, 0.6469)
Tb (0.7500, 0.9853, 0.3531)
Tb (0.7500, 0.0164, 0.8619)
Tb (0.7500, 0.5164, 0.6381)
Tb (0.2500, 0.4836, 0.3619)
Tb (0.2500, 0.9836, 0.1381)
P (0.4600, 0.7969, 0.5028)
P (0.9600, 0.7031, 0.0028)
P (0.0400, 0.2969, 0.9972)
P (0.4600, 0.2969, 0.9972)
P (0.0400, 0.7969, 0.5028)
P (0.5400, 0.2031, 0.4972)
P (0.5400, 0.7031, 0.0028)
P (0.9600, 0.2031, 0.4972)

Output
The crystal system is orthorhombic. The value obtained for the energy of formation is -1803 meV/atom. The space group is No. 62. The value obtained for the energy is -429.4 eV for the cell shown. Its calculated volume is 20.11 Å³/atom.

---

This record from the Materials Project database describes a relaxed SrNb2O6 crystal. The functional is r2SCAN.

Cell lengths 5.6324, 7.7378, 11.1610 Å; angles 89.72, 90.00, 90.00 degrees
Fractional positions:
Nb (0.5255, 0.0095, 0.3559)
Nb (0.0319, 0.4778, 0.1430)
Nb (0.9681, 0.5222, 0.8570)
Nb (0.5319, 0.5222, 0.3570)
Nb (0.9745, 0.0095, 0.8559)
Nb (0.4745, 0.9905, 0.6441)
Nb (0.0255, 0.9905, 0.1441)
Nb (0.4681, 0.4778, 0.6430)
O (0.7796, 0.0351, 0.0261)
O (0.8532, 0.7521, 0.8720)
O (0.3532, 0.2479, 0.6280)
O (0.6356, 0.0505, 0.7885)
O (0.7204, 0.0351, 0.5261)
O (0.2788, 0.5347, 0.4741)
### The entry goes on
Don’t be fooled by their ease – they’re incredibly effective when done consistently. Once you have them ingrained into your daily life, it will make it much easier to implement the other ideas and principles in the book.
To increase your chances of success, stick these new habits on to a behaviour you already do automatically and as part of your daily routine, eg, boiling the kettle, making a coffee, your commute into work, or just before bed. Spend some time experimenting with the best time in your day for each one.
Lift something every day
Keep a dumb-bell or kettlebell in your kitchen. When you go in there each morning to make a hot drink or for breakfast, lift it. Even if all you do is five bicep curls, you’re showing your body each day that you’re a thriving human. When you’ve finished, make sure you allow yourself to feel good about it. Start small, but try and build up to a five-minute workout (or more!) each morning, as I do.
Connect each day with another human being
I often see people soothing their loneliness with food. That is why each day, I want you to connect with another human being in a meaningful way. It doesn’t need to take long. If you feel you don’t have the connections for this, join a supportive online community. We’d all love to see you over at my Facebook group (
Make time each day to see how far you’ve come. Many of us live our lives at a hundred miles an hour and we’re often too busy to stop, think and reflect. If you’re going to change your relationship with your health in the long term, taking some time for yourself each day to reflect on how things are going is one of the most powerful things you can do. It needn’t take long – even just a few minutes will suffice.
These are the three core foundations of fat loss, which I want you, over time, to infuse in as much of your life as possible. Try your best to make small changes in each of them, to the best of your ability.
Please remember that these foundations are areas that can always be improved. I have been focusing on them for years and I am still making small tweaks in them. That is part of the process.
Don’t worry about getting them all perfect from day one. This is not a conventional ‘plan’ where you have to have completed specific tasks in week 1, week 2 etc before moving on.
My approach is all about progress, not perfection. Please don’t punish yourself if your progress isn’t as quick as you’d like. Small changes made consistently over time is what leads to the big results.
It’s possible that the ‘Prepare Your Mind’ exercise [in Feel Great, Lose Weight] will have identified that one of these foundations requires more attention than the others.
If this is the case, I would encourage you to focus on that foundation first. You will experience more benefits from small improvements in your weakest area, rather than making your strongest one even better.
In fact, many people are much more successful when they focus on only one foundation at any one time. When we try and change too much at once, it can quickly become overwhelming.
Real food gets your signals working properly and helps you lose weight without making you feel too hungry. I want you to choose minimally processed food that’s as close to its natural state as possible.
Not sleeping well makes you hungrier, makes you crave more sugary food, makes it easier for you to put on weight, makes you more emotional and makes it harder for you to resist temptation. Getting sleep right makes everything else easier. For most of us, a few small lifestyle tweaks is all that is required.
Use the tips [in Feel Great, Lose Weight] to help you. You do not need to follow all of them but the more of them you do, the more likely it is that the quality and length of your sleep will improve.
Choose every opportunity that you can to walk. Walking is the most fundamental human movement. Simply walking as much as you can sends your body the signal that you’re a thriving individual who’s engaging with life.
If you’re unable to walk for any reason, find another form of movement you can enjoy.
This is an edited extract from ‘Feel Great, Lose Weight: Long Term Simple Habits for Lasting and Sustainable Weight Loss’ by Dr Rangan Chatterjee, published by Penguin Life, £16.99